Contents.
____________
{"formula": "Ce2Mg", "functional": "PBE", "state": "relaxed", "density_g_cm3": 6.341, "e_form_ev_per_atom": 0.06, "final_energy_ha_per_atom": -0.1628, "spacegroup": "No. 38", "lattice": [[5.726, 0.000, 0.000], [0.000, 3.237, 0.000], [0.000, 0.000, 17.213]], "species": ["Ce", "Ce", "Ce", "Ce", "Ce", "Ce", "Ce", "Ce", "Mg", "Mg", "Mg", "Mg"], "fractional_positions": [[0.000, 0.000, 0.000], [0.000, 0.000, 0.321], [0.000, 0.000, 0.658], [0.000, 0.500, 0.158], [0.000, 0.500, 0.500], [0.000, 0.500, 0.821], [0.500, 0.000, 0.871], [0.500, 0.500, 0.371], [0.500, 0.000, 0.204], [0.500, 0.000, 0.550], [0.500, 0.500, 0.050], [0.500, 0.500, 0.704]]}

{"formula": "Ce3Mg", "functional": "PBE", "state": "relaxed", "density_g_cm3": 6.947, "e_form_ev_per_atom": 0.19, "final_energy_ha_per_atom": -0.1714, "spacegroup": "No. 225", "lattice": [[7.519, 0.000, 0.000], [0.000, 7.519, 0.000], [0.000, 0.000, 7.519]], "species": ["Ce", "Ce", "Ce", "Ce", "Ce", "Ce", "Ce", "Ce", "Ce", "Ce", "Ce", "Ce", "Mg", "Mg", "Mg", "Mg"], "fractional_positions": [[0.000, 0.000, 0.000], [0.000, 0.500, 0.500], [0.250, 0.250, 0.250], [0.250, 0.250, 0.750], [0.250, 0.750, 0.250], [0.250, 0.750, 0.750], [0.500, 0.000, 0.500], [0.500, 0.500, 0.000], [0.750, 0.250, 0.250], [0.750, 0.250, 0.750], [0.750, 0.750, 0.250], [0.750, 0.750, 0.750], [0.000, 0.000, 0.500], [0.000, 0.500, 0.000], [0.500, 0.000, 0.000], [0.500, 0.500, 0.500]]}

{"formula": "CeMg", "functional": "PBE", "state": "relaxed", "density_g_cm3": 5.241, "e_form_ev_per_atom": 0.01, "final_energy_ha_per_atom": -0.1381, "spacegroup": "No. 12", "lattice": [[11.178, 0.000, 0.000], [0.000, 3.398, 0.000], [-2.304, 0.000, 5.486]], "species": ["Ce", "Ce", "Ce", "Ce", "Mg", "Mg", "Mg", "Mg"], "fractional_positions": [[0.143, 0.000, 0.446], [0.357, 0.500, 0.554], [0.643, 0.500, 0.446], [0.857, 0.000, 0.554], [0.127, 0.500, 0.940], [0.373, 0.000, 0.060], [0.627, 0.000, 0.940], [0.873, 0.500, 0.060]]}

{"formula": "CeMg6Mn", "functional": "PBE", "state": "relaxed", "density_g_cm3": 3.202, "e_form_ev_per_atom": 0.22, "final_energy_ha_per_atom": -0.1054, "spacegroup": "No. 38", "lattice": [[4.600, 0.000, 0.000], [0.000, 6.319, 0.000], [0.000, 0.000, 12.164]], "species": ["Ce", "Ce", "Mg", "Mg", "Mg", "Mg", "Mg", "Mg", "Mg", "Mg", "Mg", "Mg", "Mg", "Mg", "Mn", "Mn"], "fractional_positions": [[0.000, 0.000, 0.000], [0.000, 0.500, 0.500], [0.000, 0.000, 0.449], [0.000, 0.248, 0.218], [0.000, 0.252, 0.718], [0.000, 0.500, 0.949], [0.000, 0.748, 0.718], [0.000, 0.752, 0.218], [0.500, 0.000, 0.606], [0.500, 0.244, 0.865], [0.500, 0.256, 0.365], [0.500, 0.500, 0.106], [0.500, 0.744, 0.365], [0.500, 0.756, 0.865], [0.500, 0.000, 0.068], [0.500, 0.500, 0.568]]}

{"formula": "CeMg6Mn", "functional": "PBE", "state": "relaxed", "density_g_cm3": 3.261, "e_form_ev_per_atom": 0.26, "final_energy_ha_per_atom": -0.1039, "spacegroup": "No. 38", "lattice": [[5.082, 0.000, 0.000], [0.000, 5.675, 0.000], [0.000, 0.000, 12.038]], "species": ["Ce", "Ce", "Mg", "Mg", "Mg", "Mg", "Mg", "Mg", "Mg", "Mg", "Mg", "Mg", "Mg", "Mg", "Mn", "Mn"], "fractional_positions": [[0.000, 0.000, 0.000], [0.000, 0.500, 0.500], [0.000, 0.250, 0.248], [0.000, 0.250, 0.748], [0.000, 0.750, 0.248], [0.000, 0.750, 0.748], [0.500, 0.000, 0.159], [0.500, 0.000, 0.615], [0.500, 0.243, 0.396], [0.500, 0.257, 0.896], [0.500, 0.500, 0.115], [0.500, 0.500, 0.659], [0.500, 0.743, 0.896], [0.500, 0.757, 0.396], [0.000, 0.000, 0.482], [0.000, 0.500, 0.982]]}
____________

What to do.
Copy the lines further up exactly, please.

Outcome.
{"formula": "Ce2Mg", "functional": "PBE", "state": "relaxed", "density_g_cm3": 6.341, "e_form_ev_per_atom": 0.06, "final_energy_ha_per_atom": -0.1628, "spacegroup": "No. 38", "lattice": [[5.726, 0.000, 0.000], [0.000, 3.237, 0.000], [0.000, 0.000, 17.213]], "species": ["Ce", "Ce", "Ce", "Ce", "Ce", "Ce", "Ce", "Ce", "Mg", "Mg", "Mg", "Mg"], "fractional_positions": [[0.000, 0.000, 0.000], [0.000, 0.000, 0.321], [0.000, 0.000, 0.658], [0.000, 0.500, 0.158], [0.000, 0.500, 0.500], [0.000, 0.500, 0.821], [0.500, 0.000, 0.871], [0.500, 0.500, 0.371], [0.500, 0.000, 0.204], [0.500, 0.000, 0.550], [0.500, 0.500, 0.050], [0.500, 0.500, 0.704]]}

{"formula": "Ce3Mg", "functional": "PBE", "state": "relaxed", "density_g_cm3": 6.947, "e_form_ev_per_atom": 0.19, "final_energy_ha_per_atom": -0.1714, "spacegroup": "No. 225", "lattice": [[7.519, 0.000, 0.000], [0.000, 7.519, 0.000], [0.000, 0.000, 7.519]], "species": ["Ce", "Ce", "Ce", "Ce", "Ce", "Ce", "Ce", "Ce", "Ce", "Ce", "Ce", "Ce", "Mg", "Mg", "Mg", "Mg"], "fractional_positions": [[0.000, 0.000, 0.000], [0.000, 0.500, 0.500], [0.250, 0.250, 0.250], [0.250, 0.250, 0.750], [0.250, 0.750, 0.250], [0.250, 0.750, 0.750], [0.500, 0.000, 0.500], [0.500, 0.500, 0.000], [0.750, 0.250, 0.250], [0.750, 0.250, 0.750], [0.750, 0.750, 0.250], [0.750, 0.750, 0.750], [0.000, 0.000, 0.500], [0.000, 0.500, 0.000], [0.500, 0.000, 0.000], [0.500, 0.500, 0.500]]}

{"formula": "CeMg", "functional": "PBE", "state": "relaxed", "density_g_cm3": 5.241, "e_form_ev_per_atom": 0.01, "final_energy_ha_per_atom": -0.1381, "spacegroup": "No. 12", "lattice": [[11.178, 0.000, 0.000], [0.000, 3.398, 0.000], [-2.304, 0.000, 5.486]], "species": ["Ce", "Ce", "Ce", "Ce", "Mg", "Mg", "Mg", "Mg"], "fractional_positions": [[0.143, 0.000, 0.446], [0.357, 0.500, 0.554], [0.643, 0.500, 0.446], [0.857, 0.000, 0.554], [0.127, 0.500, 0.940], [0.373, 0.000, 0.060], [0.627, 0.000, 0.940], [0.873, 0.500, 0.060]]}

{"formula": "CeMg6Mn", "functional": "PBE", "state": "relaxed", "density_g_cm3": 3.202, "e_form_ev_per_atom": 0.22, "final_energy_ha_per_atom": -0.1054, "spacegroup": "No. 38", "lattice": [[4.600, 0.000, 0.000], [0.000, 6.319, 0.000], [0.000, 0.000, 12.164]], "species": ["Ce", "Ce", "Mg", "Mg", "Mg", "Mg", "Mg", "Mg", "Mg", "Mg", "Mg", "Mg", "Mg", "Mg", "Mn", "Mn"], "fractional_positions": [[0.000, 0.000, 0.000], [0.000, 0.500, 0.500], [0.000, 0.000, 0.449], [0.000, 0.248, 0.218], [0.000, 0.252, 0.718], [0.000, 0.500, 0.949], [0.000, 0.748, 0.718], [0.000, 0.752, 0.218], [0.500, 0.000, 0.606], [0.500, 0.244, 0.865], [0.500, 0.256, 0.365], [0.500, 0.500, 0.106], [0.500, 0.744, 0.365], [0.500, 0.756, 0.865], [0.500, 0.000, 0.068], [0.500, 0.500, 0.568]]}

{"formula": "CeMg6Mn", "functional": "PBE", "state": "relaxed", "density_g_cm3": 3.261, "e_form_ev_per_atom": 0.26, "final_energy_ha_per_atom": -0.1039, "spacegroup": "No. 38", "lattice": [[5.082, 0.000, 0.000], [0.000, 5.675, 0.000], [0.000, 0.000, 12.038]], "species": ["Ce", "Ce", "Mg", "Mg", "Mg", "Mg", "Mg", "Mg", "Mg", "Mg", "Mg", "Mg", "Mg", "Mg", "Mn", "Mn"], "fractional_positions": [[0.000, 0.000, 0.000], [0.000, 0.500, 0.500], [0.000, 0.250, 0.248], [0.000, 0.250, 0.748], [0.000, 0.750, 0.248], [0.000, 0.750, 0.748], [0.500, 0.000, 0.159], [0.500, 0.000, 0.615], [0.500, 0.243, 0.396], [0.500, 0.257, 0.896], [0.500, 0.500, 0.115], [0.500, 0.500, 0.659], [0.500, 0.743, 0.896], [0.500, 0.757, 0.396], [0.000, 0.000, 0.482], [0.000, 0.500, 0.982]]}